Who is Barack Obama?

I understand, and so do MANY others, that this is what has been happening before our very eyes over the last few years. :shock:

Who is Barack Obama?

As the title asked!


I think he is the one just to the right of Snow White! Not sure though?

It is a systemic problem that goes back more than a few years Chris.

Can you imagine if Clinton had been able to nationalize the health care system?

{
  "formula": "SrMoO2",
  "functional": "GGA+U",
  "state": "optimized geometry",
  "lattice": [[-3.319, 3.319, 5.992], [3.319, -3.319, 5.992], [3.319, 3.319, -5.992]],
  "species": ["Sr", "Sr", "Sr", "Sr", "Mo", "Mo", "Mo", "Mo", "O", "O", "O", "O", "O", "O", "O", "O"],
  "frac_coords": [[0.875, 0.625, 0.250], [0.375, 0.625, 0.750], [0.375, 0.625, 0.250], [0.375, 0.125, 0.750], [0.375, 0.125, 0.250], [0.875, 0.125, 0.750], [0.875, 0.125, 0.250], [0.875, 0.625, 0.750], [0.158, 0.376, 0.218], [0.158, 0.940, 0.782], [0.126, 0.408, 0.718], [0.592, 0.874, 0.282], [0.690, 0.408, 0.282], [0.592, 0.310, 0.718], [0.624, 0.842, 0.782], [0.060, 0.842, 0.218]],
  "total_energy_ev_per_cell": -103.36,
  "e_form_ev_per_atom": -2.00,
  "volume_a3_per_fu": 66.0,
  "magmom_total_mub_per_fu": 4.0
}

***

{
  "formula": "Ta2MoO8",
  "functional": "GGA+U",
  "state": "optimized geometry",
  "lattice": [[3.056, 9.985, 0.000], [-3.056, 9.985, 0.000], [0.000, 0.072, 5.146]],
  "species": ["Ta", "Ta", "Ta", "Ta", "Mo", "Mo", "O", "O", "O", "O", "O", "O", "O", "O", "O", "O", "O", "O", "O", "O", "O", "O"],
  "frac_coords": [[0.686, 0.049, 0.249], [0.951, 0.314, 0.251], [0.314, 0.951, 0.751], [0.049, 0.686, 0.749], [0.340, 0.660, 0.250], [0.660, 0.340, 0.750], [0.783, 0.102, 0.920], [0.898, 0.217, 0.580], [0.217, 0.898, 0.080], [0.102, 0.783, 0.420], [0.564, 0.331, 0.431], [0.669, 0.436, 0.069], [0.436, 0.669, 0.569], [0.331, 0.564, 0.931], [0.760, 0.916, 0.577], [0.084, 0.240, 0.923], [0.204, 0.424, 0.646], [0.576, 0.796, 0.854], [0.796, 0.576, 0.354], [0.424, 0.204, 0.146], [0.916, 0.760, 0.077], [0.240, 0.084, 0.423]],
  "total_energy_ev_per_cell": -187.12,
  "e_form_ev_per_atom": -2.56,
  "volume_a3_per_fu": 157.0,
  "magmom_total_mub_per_fu": 0.0
}

***

{
  "formula": "TaZn2MoO6",
  "functional": "GGA+U",
  "state": "optimized geometry",
  "lattice": [[7.858, 0.000, 0.000], [0.000, 5.391, 0.000], [0.000, 0.159, 5.400]],
  "species": ["Ta", "Ta", "Zn", "Zn", "Zn", "Zn", "Mo", "Mo", "O", "O", "O", "O", "O", "O", "O", "O", "O", "O", "O", "O"],
  "frac_coords": [[0.000, 0.500, 0.000], [0.500, 0.500, 0.000], [0.250, 0.985, 0.980], [0.250, 0.469, 0.506], [0.750, 0.531, 0.494], [0.750, 0.015, 0.020], [0.000, 0.000, 0.500], [0.500, 0.000, 0.500], [0.567, 0.819, 0.847], [0.434, 0.661, 0.313], [0.433, 0.181, 0.153], [0.934, 0.339, 0.687], [0.750, 0.424, 0.121], [0.566, 0.339, 0.687], [0.066, 0.661, 0.313], [0.933, 0.819, 0.847], [0.250, 0.103, 0.623], [0.067, 0.181, 0.153], [0.750, 0.897, 0.377], [0.250, 0.576, 0.879]],
  "total_energy_ev_per_cell": -140.69,
  "e_form_ev_per_atom": -2.28,
  "volume_a3_per_fu": 114.4,
  "magmom_total_mub_per_fu": 3.0
}

***

{
  "formula": "TbMoO5",
  "functional": "GGA+U",
  "state": "optimized geometry",
  "lattice": [[12.586, 0.000, 0.000], [0.000, 5.416, 0.000], [0.000, 3.154, 6.217]],
**The article goes on:**

Jim doesn’t need to do that when it is McSame/Palin, they look about as bad as one can get without being pictured in prison stripes behind bars. Never attribute to malice that which can be adequately explained by stupidity.

Joey is in the same boat, his guy Ron Paul could not get traction and now he has to play the same game to make himself feel better.


Joe’s guy could be a player. In a close race, a vote for Ron Paul is a vote for Obama. Don’t forget what Ross Perot did to Bush in '92.

Don’t forget Nader.

Why not? Most have.

To make a difference in this race a third candidate would need to pull 4% to 6%. Nader doesn’t even have a base of 1%. Paul, as a Republican, offers those disgruntled GOPers who refuse to vote for McCain the opportunity to be at least be partially “loyal” as Will suggested.

I bet he pulls some last minute folks who just can’t allow themselves to see the VPILF a heartbeat away from the “red button”.

Who? Sorry the world has forgotten Nader. :stuck_out_tongue:

Hope you all watched Palin on Hannity.

With Reagan and Thatcher as heroes she’s on the right page.

I didn’t…but I’m sure Sean enjoyed the experience of having Palin on him. Who wouldn’t?

Question: Does she spit or swallow?

I added to my prior post just for you.:wink:

'''
Entry 1:
The following is a DFT calculation (PBE+U) of a relaxed Ni2S3N2O12 crystal.

Unit cell a=10.009 b=10.009 c=10.009 alpha=90.00 beta=90.00 gamma=90.00
Atoms (fractional coordinates):
Ni 0.099 0.099 0.099
Ni 0.164 0.336 0.664
Ni 0.336 0.664 0.164
Ni 0.401 0.901 0.599
Ni 0.599 0.401 0.901
Ni 0.664 0.164 0.336
Ni 0.836 0.836 0.836
Ni 0.901 0.599 0.401
S 0.017 0.784 0.124
S 0.124 0.017 0.784
S 0.216 0.624 0.483
S 0.284 0.376 0.983
S 0.376 0.983 0.284
S 0.483 0.216 0.624
S 0.517 0.716 0.876
S 0.624 0.483 0.216
S 0.716 0.876 0.517
S 0.784 0.124 0.017
S 0.876 0.517 0.716
S 0.983 0.284 0.376
N 0.048 0.952 0.452
N 0.184 0.684 0.816
N 0.316 0.316 0.316
N 0.452 0.048 0.952
N 0.548 0.548 0.548
N 0.684 0.816 0.184
N 0.816 0.184 0.684
N 0.952 0.452 0.048
O 0.000 0.440 0.733
O 0.000 0.940 0.767
O 0.012 0.926 0.169
O 0.042 0.196 0.273
O 0.060 0.267 0.500
O 0.074 0.669 0.488
O 0.099 0.158 0.747
O 0.158 0.747 0.099
O 0.169 0.012 0.926
O 0.196 0.273 0.042
O 0.227 0.958 0.696
O 0.233 0.500 0.560
O 0.247 0.401 0.842
O 0.253 0.599 0.342
O 0.267 0.500 0.060
O 0.273 0.042 0.196
O 0.304 0.727 0.542
O 0.331 0.988 0.426
O 0.342 0.253 0.599
O 0.401 0.842 0.247
O 0.426 0.331 0.988
O 0.440 0.733 0.000
O 0.458 0.804 0.773
O 0.488 0.074 0.669
O 0.500 0.060 0.267
O 0.500 0.560 0.233
O 0.512 0.574 0.831
O 0.542 0.304 0.727
O 0.560 0.233 0.500
O 0.574 0.831 0.512
O 0.599 0.342 0.253
O 0.658 0.753 0.901
O 0.669 0.488 0.074
O 0.696 0.227 0.958
O 0.727 0.542 0.304
O 0.733 0.000 0.440
O 0.747 0.099 0.158
O 0.753 0.901 0.658
O 0.767 0.000 0.940
O 0.773 0.458 0.804
O 0.804 0.773 0.458
O 0.831 0.512 0.574
O 0.842 0.247 0.401
O 0.901 0.658 0.753
O 0.926 0.169 0.012
O 0.940 0.767 0.000
O 0.958 0.696 0.227
O 0.988 0.426 0.331

## Properties
Its total magnetization is 10.61 μB/f.u. Its space group is P2_13 (198).

Entry 2:
The following is a DFT calculation (PBE+U) of a relaxed Sr2NiN6O12 crystal.

Unit cell a=7.141 b=7.141 c=7.141 alpha=60.00 beta=60.00 gamma=60.00
Atoms (fractional coordinates):
Sr 0.250 0.250 0.250
Sr 0.750 0.750 0.750
Ni 0.000 0.000 0.000
N 0.189 0.189 0.811
N 0.189 0.811 0.189
N 0.189 0.811 0.811
N 0.811 0.189 0.189
N 0.811 0.189 0.811
N 0.811 0.811 0.189
O 0.000 0.000 0.341
O 0.000 0.000 0.659
O 0.000 0.341 0.000
O 0.000 0.341 0.659
O 0.000 0.659 0.000
O 0.000 0.659 0.341
O 0.341 0.000 0.000
O 0.341 0.000 0.659
O 0.341 0.659 0.000
O 0.659 0.000 0.000
O 0.659 0.000 0.341
O 0.659 0.341 0.000

## Properties
Its total magnetization is 0.00 μB/f.u. Its space group is Fm-3m (225).

Entry 3:
The following is a DFT calculation (PBE+U) of a relaxed V2P2NO11 crystal.

Unit cell a=9.781 b=9.952 c=11.999 alpha=90.00 beta=127.36 gamma=90.00
Atoms (fractional coordinates):
V 0.018 0.051 0.398
V 0.018 0.449 0.898
V 0.297 0.691 0.600
V 0.297 0.809 0.100
V 0.703 0.191 0.900
V 0.703 0.309 0.400
V 0.982 0.551 0.102
V 0.982 0.949 0.602
P 0.161 0.686 0.798
P 0.161 0.814 0.298
P 0.345 0.012 0.698
P 0.345 0.488 0.198
P 0.655 0.512 0.802
P 0.655 0.988 0.302
P 0.839 0.186 0.702
'''
(Here the page continues)

She will bring to the voting booth all those who where considering staying home.:smiley:

Yes…what America is fantasizing about doing to her, her running mate plans to do to America. What a deal.

Isn’t anyone who votes for Obama considered “ABSENT”? :D:D

Just joking, but I had to say it, the joke was screaming at me. LOL

Excuse me, if it wasn’t for those like you who facilitate this problem by being a dependable voting block for your “the lesser of two evils” party, we wouldn’t have so much to complain about in the first place. The two parties wholesale whore themselves out to the special interests because they can count on voters like you to provide them this luxury. Perhaps those that bury their heads in the sand and facilitate the problem are those that have absolutely given up their “right” to complain. :roll:

My point still stands.

Third parties, in the last 40 years have garnered no more than 6% (John Anderson).

And the take away from the winner haveing more that 50%, which gives the wingnuts (on both sides) one more agruement.

i am not blind, and not a follower and not part of a block.

I am a Republican and a Conservative (not necessarily the same thing, BTW) and believe in reality, i.e., making the best choice of the available choices.

Is it just me or has anyone else noticed how absolutely dead the message board has been these past few months.

I mean, if it were not for politics and debates on whether God uses mustache wax or not…there would be hardly any posts at all.

What’s going on?

Slow market.

an old, wise inspector (and an ASHI member, go figure. Very respected, in this area, for helping others and looked up to by members of all the associations) once told me that 90% of the inspections in our area (Northern Illinois, with Chicago and many large urban areas) are done by 10% of the inspectors.

Those inspectors are:

  1. Full time.
  2. Solid businessmen (i.e., know about business, accounting, law, as well as HI).
  3. Technically, at the “cutting” (read: bleeding) edge.
  4. Have other business (i.e., litigation inspections, moisture intrusion, building maintenence and construction problem inspections, Thermal, mold, IAQ, energy, wells, etc) to pull up the slack.
  5. College educated (which only proves that you can learn new things and, in some cases, be able to teach yourself).
  6. Always marketing.

Hope this helps;